_Listing_
-- begin --
Theoretical PXRD pattern
Compound: AcNd7
Radiation: a wavelength of 1.5418 Å
Structure: a cell relaxed with GGA-PBE
No peak broadening, texture or thermal motion is included.

Crystal structure
```
AcNd7
1.0
0.000 5.259 5.259
5.259 0.000 5.259
5.259 5.259 0.000
Ac Nd
1 7
Cartesian
0.000 0.000 0.000
2.629 2.629 0.000
2.629 0.000 2.629
5.259 2.629 2.629
0.000 2.629 2.629
2.629 5.259 2.629
2.629 2.629 5.259
5.259 5.259 5.259
```

Top 10 peaks for 10 to 80 degrees two-theta, low angle first:
| d/Å | Position (°2θ) | Rel. int. |
| --- | --- | --- |
| 6.072 | 14.59 | 2 |
| 5.259 | 16.86 | 1 |
| 3.171 | 28.14 | 1 |
| 3.036 | 29.42 | 100 |
| 2.629 | 34.10 | 51 |
| 1.859 | 49.00 | 37 |
| 1.586 | 58.19 | 44 |
| 1.518 | 61.04 | 13 |
| 1.315 | 71.81 | 6 |
| 1.206 | 79.44 | 18 |
-- stop --

_Assignment_
Next, set down the listing further above with every line break kept.

_Outcome_
Theoretical PXRD pattern
Compound: AcNd7
Radiation: a wavelength of 1.5418 Å
Structure: a cell relaxed with GGA-PBE
No peak broadening, texture or thermal motion is included.

Crystal structure
```
AcNd7
1.0
0.000 5.259 5.259
5.259 0.000 5.259
5.259 5.259 0.000
Ac Nd
1 7
Cartesian
0.000 0.000 0.000
2.629 2.629 0.000
2.629 0.000 2.629
5.259 2.629 2.629
0.000 2.629 2.629
2.629 5.259 2.629
2.629 2.629 5.259
5.259 5.259 5.259
```

Top 10 peaks for 10 to 80 degrees two-theta, low angle first:
| d/Å | Position (°2θ) | Rel. int. |
| --- | --- | --- |
| 6.072 | 14.59 | 2 |
| 5.259 | 16.86 | 1 |
| 3.171 | 28.14 | 1 |
| 3.036 | 29.42 | 100 |
| 2.629 | 34.10 | 51 |
| 1.859 | 49.00 | 37 |
| 1.586 | 58.19 | 44 |
| 1.518 | 61.04 | 13 |
| 1.315 | 71.81 | 6 |
| 1.206 | 79.44 | 18 |